Hiking in Norway – Much Better Adventures
Despite the freezing temperature and the stomach churning heights, peeking over the mountain as the sun broke through the clouds, views of the fjords in every direction, I had never felt more alive. Reaching the summit of Breiskrednosi was one of the proudest moments of my life so far. I’d spent a couple of days with a group of total strangers, in a country I’d never visited, in a place I’d never been. God I was...
Top 5 ASOS Autumn Buys We Love – ALL UNDER £20!
141
Properties=species:S:1:pos:R:3:forces:R:3 method="wB97M-V/def2-TZVPD" lumo_ev=-6.419 energy_ev=-240588.22582 total_charge=+1 homo_ha=-0.4396
C 0.551 -3.452 1.752 -0.3 -1.0 -0.5
F 3.397 0.840 10.760 -0.7 0.0 0.0
F 2.170 -6.078 3.583 0.3 -0.4 0.4
H -0.265 3.755 -4.704 0.6 -1.1 -1.8
C 2.723 -0.853 0.936 1.0 0.3 0.6
F 0.585 -1.815 5.139 0.0 -0.3 -0.3
H -0.452 -3.107 1.472 0.3 0.1 0.3
P -1.455 -3.612 -6.356 -3.5 -0.5 1.2
H 4.178 2.033 -8.096 0.2 0.1 -0.3
H 1.571 1.442 11.268 -0.1 -0.2 -0.2
F 3.227 2.377 -12.432 0.0 0.1 0.4
F -7.497 3.311 -0.095 -0.3 -0.1 -0.2
F 5.874 -0.730 8.378 -0.3 0.1 -0.3
H 0.061 3.959 -6.559 -0.1 -1.9 1.8
H -10.950 0.854 3.036 0.0 -0.2 -0.1
H -4.215 6.743 0.519 0.2 0.1 0.4
O 1.393 0.149 8.818 1.0 -0.7 1.4
O -4.776 0.775 -0.767 6.6 3.2 0.2
F 0.379 -4.289 3.931 -0.4 0.8 -0.2
F 2.246 -0.089 12.360 -0.3 -0.1 -0.5
F 0.151 8.261 1.720 -0.4 -0.4 -0.4
C 4.580 -1.137 8.487 1.1 -0.3 0.4
H 4.768 -5.712 4.700 -0.1 -0.3 -0.2
C -0.632 7.205 2.069 0.6 0.4 1.0
F -8.680 1.235 -1.639 0.5 0.2 0.5
F -0.929 6.396 -0.138 0.2 0.0 0.5
C -3.889 6.167 1.394 -0.6 -0.9 -0.5
H 8.086 0.575 -10.259 -0.2 -0.1 0.2
C 2.158 -0.535 7.821 -0.9 0.1 -0.7
F -7.201 1.894 1.533 0.1 -0.1 -0.5
C 0.862 -3.210 3.237 0.8 -0.8 -0.1
H 7.059 -7.648 1.198 0.0 0.2 0.2
F 5.123 3.022 -10.537 -0.4 -0.3 -0.1
F -9.512 1.025 4.393 0.0 -0.4 -0.2
F -9.771 1.729 0.165 0.6 0.3 -0.7
F 3.346 -7.100 2.066 -0.1 -0.1 0.4
F 6.674 -0.992 -8.704 0.2 0.4 -0.6
F 6.689 1.146 -11.553 0.3 -0.3 0.6
H -2.248 -1.279 -0.983 0.3 1.8 -2.0
F 3.086 3.190 -9.798 -0.2 -0.5 -0.2
C -7.374 1.987 0.190 0.8 0.1 0.2
C 6.129 -0.124 -9.599 -1.2 0.2 1.6
F 5.019 -0.735 -10.077 0.8 -0.3 0.1
C 4.032 2.284 -10.200 1.0 0.5 0.4
C -2.004 -0.650 -1.944 1.6 0.4 -4.1
H 1.985 -1.618 7.844 0.3 0.2 0.2
Cl -0.710 -3.203 -2.907 -1.0 3.8 -0.4
C -1.035 1.968 -6.008 0.1 1.0 0.6
H -0.852 -1.986 3.782 0.0 -0.2 -0.1
O -2.510 5.795 1.306 0.9 1.6 0.0
C -1.212 -1.400 -3.167 -1.1 3.1 0.0
F 6.297 -7.292 4.431 0.7 0.0 -0.6
C 0.060 3.176 -5.669 0.1 -0.1 0.0
H 0.019 6.356 2.304 -0.2 0.0 -0.2
C 3.345 -6.754 3.381 0.3 0.3 -0.9
H -9.586 -1.700 0.873 0.2 0.2 0.2
O -8.553 -0.180 0.072 -0.1 1.9 0.4
C -9.236 -0.370 2.492 0.8 -0.5 -0.3
H -2.471 2.770 -3.430 0.6 -2.8 0.6
H -1.715 -4.345 -7.596 1.1 0.9 0.7
F 2.601 0.471 0.651 -0.4 -0.3 -0.3
F 2.896 -0.946 2.279 0.0 -0.2 -0.8
C 0.240 -1.950 3.830 -0.3 0.5 1.0
H 2.539 1.022 -11.155 0.0 0.0 0.2
C 4.488 -5.761 3.641 0.1 1.1 0.0
H 1.966 2.739 -4.377 -0.7 -0.4 -2.3
H -0.334 -4.182 -5.643 -0.1 0.5 -1.0
H -3.178 -2.776 -5.310 0.1 -1.4 0.0
F -4.773 8.798 3.934 0.0 -0.5 -0.2
F 0.162 -0.629 10.498 0.7 0.4 0.2
C -1.335 1.030 -4.666 -0.8 -2.3 2.8
N -2.799 -3.746 -5.462 2.2 2.2 -1.3
F 2.306 -8.809 3.964 0.0 0.4 -0.1
C 1.492 -1.638 0.465 -0.7 -2.1 -0.1
O 1.215 -1.356 -5.935 -9.5 0.0 0.6
H 1.716 -0.208 6.871 0.2 0.1 0.3
O -2.517 0.967 0.749 0.2 1.7 -4.5
C 1.454 -0.413 10.128 -0.8 -0.7 -1.8
F 3.825 1.103 8.162 0.1 -0.5 0.0
H -0.597 1.359 -6.908 -1.1 0.8 2.0
C -9.858 0.890 3.084 -0.3 0.7 1.0
With our British “Summer” slowing to a halt and Autumn fast approaching, it’s time to start thinking about what on earth you’re going to wear for the next 6-8 months. September’s here, and with it comes the frumpy jumpers, jeans & boots combos you whack out every year… I know ‘tis the season to wrap up warm and go for practical over… well, anything. And the drawn-out nights do make it more difficult to feel sexy,...
GCSE Resits: Don’t Panic – you can go again.
Today’s the day; up and down the country 16yr old’s are opening their GCSE Results envelopes and either sighing with relieved triumph or screwing it up in a rage – or more usually experiencing a range of emotions between the two.If you got the GCSE results you needed – Well Done! Move along, nothing to see here, you know your next steps.But you, over at the back there with the disappointed face on. If your...
Tips for Travelling with Teens
The piece is interrupted by molecular data:
- - -
[1]
{
  "formula": "C34H58Ge2N3OsS",
  "method": "ωB97M-V/def2-TZVPD",
  "symbols": ["Os", "C", "C", "Ge", "C", "C", "C", "C", "Ge", "C", "C", "C", "C", "C", "C", "C", "C", "C", "C", "H", "H", "H", "H", "H", "H", "H", "H", "H", "H", "H", "H", "H", "H", "H", "H", "H", "H", "H", "H", "H", "H", "H", "H", "H", "H", "C", "N", "C", "C", "C", "C", "C", "C", "C", "C", "H", "H", "H", "H", "H", "H", "H", "H", "H", "H", "H", "H", "C", "C", "C", "C", "N", "C", "S", "N", "C", "C", "C", "C", "H", "H", "H", "H", "H", "H", "H", "H", "H", "H", "H", "H", "H", "H", "H", "H", "H", "H", "H", "H"],
- - -
The molecular data stop here:
Taking your teenager on holiday with you can sometimes be a stressful endeavour, but with the right planning and preparations you can ensure the whole family enjoys the break. So if your child is reaching the age when spending time with their parents is just plain embarrassing, but they still join you on your family holidays, then this could be the perfect guide for you! Here we will outline some top tips for taking your teenager on...
Win 1 of 2 Gaming Headsets from Corsair! | #SummerStuff
It’s day six of #SummerStuff 2019, and today’s prize is potentially more for your teen than for you – we’ve TWO Corsair gaming headsets up for grabs! The CORSAIR HS35 is a fantastic stereo gaming headset for both new and seasoned gamers. And impoetantly, it is compatible with all gaming platforms: PC, Xbox One, PS4, Nintendo Switch and mobile. Put it on and play in extreme comfort for hours on end thanks to its plush...
-- Unrelated to this article: molecular data --
(1)
{"formula": "C4H11NO3S", "method": "ωB97M-V/def2-TZVPD", "e_homo_ha": [-0.5226, -0.5014], "homo_lumo_gap_ev": [10.3, 4.5], "lumo_energy_ev": [-3.9, -9.2], "multiplicity": 2, "charge": 1, "symbols": ["O", "C", "O", "C", "C", "C", "S", "N", "H", "H", "H", "H", "H", "H", "H", "H", "H", "H", "H", "O"], "coordinates": [[0.05, -0.10, -2.74], [0.64, -0.41, -1.76], [1.97, -0.43, -1.72], [0.01, -0.63, -0.35], [-0.45, 0.78, 0.11], [-1.52, 0.62, 1.19], [-1.40, 2.00, 2.29], [-1.25, -1.44, -0.66], [2.44, -0.21, -2.58], [0.74, -1.35, 0.08], [0.44, 1.41, 0.39], [-0.92, 1.54, -0.63], [-2.49, 0.78, 0.79], [-1.51, -0.33, 1.84], [-1.51, 2.91, 1.30], [-1.53, -1.58, 0.31], [-2.00, -0.90, -1.20], [2.53, -0.22, 1.54], [2.97, -1.36, 0.47], [2.79, -1.09, 1.34]], "lowdin_spin": [0.015, 0.015, 0.003, 0.039, 0.077, 0.059, 0.626, 0.117, 0.001, 0.000, 0.009, 0.001, 0.019, -0.002, 0.016, 0.003, 0.002, 0.000, 0.000, 0.000]}

=====

(2)
{"formula": "C4H11NOP", "method": "ωB97M-V/def2-TZVPD", "e_above_lowest_kj_mol": 151.1, "e_homo_ha": -0.5542, "homo_lumo_gap_ev": 11.9, "lumo_energy_ev": -3.1, "charge": 1, "symbols": ["C", "C", "C", "C", "N", "O", "P", "H", "H", "H", "H", "H", "H", "H", "H", "H", "H", "H"], "coordinates": [[-3.56, 0.16, -0.37], [1.38, 1.43, -0.55], [1.13, -0.59, 1.37], [0.86, -1.22, -1.37], [-4.07, 0.54, 0.63], [-1.22, 0.35, 0.12], [0.37, 0.02, -0.12], [2.29, 1.00, -0.39], [1.03, 2.11, 0.22], [1.32, 1.73, -1.65], [1.09, 0.27, 2.08], [2.07, -0.96, 0.99], [0.55, -1.28, 2.02], [1.21, -0.49, -1.99], [0.42, -2.13, -1.85], [1.78, -1.59, -0.86], [-2.00, -0.38, 0.47], [-4.64, 1.02, 1.26]], "lowdin_charge": [0.004, -0.124, -0.169, -0.124, 0.119, -0.327, 0.775, 0.030, 0.082, 0.119, 0.084, 0.049, 0.092, -0.007, 0.109, 0.063, 0.139, 0.085]}

=====

(3)
{"formula": "C4H11NOS", "method": "ωB97M-V/def2-TZVPD", "smiles": "N[C@H](CO)CCS", "e_above_lowest_kj_mol": 261.9, "e_homo_ha": -0.3126, "homo_lumo_gap_ev": 9.3, "lumo_energy_ev": 0.8, "symbols": ["N", "C", "C", "O", "C", "C", "S", "H", "H", "H", "H", "H", "H", "H", "H", "H", "H", "H"], "coordinates": [[-0.25, 1.34, -0.07], [0.49, 0.09, 0.22], [1.69, 0.02, -0.78], [2.42, 1.20, -0.98], [-0.40, -1.09, -0.06], [-1.65, -0.98, 0.74], [-1.72, -0.15, 2.31], [-1.02, 1.40, -0.74], [0.11, 2.30, -0.18], [0.90, 0.06, 1.31], [2.44, -0.62, -0.29], [1.35, -0.33, -1.71], [2.93, 1.27, -1.81], [0.36, -1.93, 0.08], [-0.81, -1.15, -1.06], [-2.68, -0.50, 0.27], [-2.08, -1.98, 0.88], [-2.10, 1.06, 1.88]], "lowdin_charge": [0.012, -0.402, -0.248, -0.083, -0.263, -0.622, 0.694, 0.071, 0.083, 0.149, 0.116, 0.099, 0.098, 0.147, 0.111, 0.123, 0.057, -0.142]}

=====

(4)
Getting Ready for the Estate Agents – When You Live With Teenagers…
Selling a house is stressful. Everyone knows this – it’s one of those ‘facts’ that everyone can trot out at a party “the three most stressful things in life are death, divorce and MOVING HOUSE!”. But what people don’t mention so often is the whole Getting Ready for the Estate Agents. With teenagers in your house. (and if you find yourself in this situation and by chance you’re located...